江柏叡Po-Jui Chiang - AI資安組, 電子組

英文名字: | Po-Jui Chiang |
分 機: | 15616 |
電子郵件: | pjchiang@nkust.edu.tw |
學 歷: | 國立台灣大學電機 博士 |
專 長: | 強化學習智慧光學設計。 光學機器學習影像重建。 優化器開發與研究。 |
1. COMSOL Multiphysics模擬軟體:為一多重物理量耦合模擬軟體,可做光波導、射頻電路、表面電漿反應等模擬。
- 邁向新世代1.6兆位元矽光子平台光收發模組之研究(4/4)(110-2224-E-992-001-) 共同主持人 2021/08/01 至 2022/07/31
- 基於人工智慧深度學習之光學三維PM2.5粒子掃描(109-2221-E-992-093-) 主持人 2020/08/01 至 2021/10/01
- 邁向新世代1.6兆位元矽光子平台光收發模組之研究(3/4)(109-2224-E-992-001-)共同主持人 2020/08/01 至 2021/07/31
- 人工智慧數位全像術顯微鏡檢測PM2.5立體影像(108-2221-E-992-087-) 主持人 2019/08/01 至 2020/09/30
B. 產學計畫
- 100 年南分院前瞻產學研共同研發計畫-脈衝雷射監控電路2011.3.1~2011.12.31
- Po-Jui Chiang (2023, Aug). Adaptive Penalty Method with Adam Optimizer for Enhanced Convergence in Optical Waveguide Mode Solvers. Optics Express, 31 (17).
- Chih-Lung Tseng,Chien-Kun Wang,Chih-Hsien Lai,Cheng-Hsiung Tsai,Po-Jui Chiang* (2023, Apr). Excitation of Surface-Plasmon-Mode in Bulk Semiconductor Lasers. Applied Optics.
- Cheng-Hsiung Tsai, Yu-Da Lin, Cheng-Hong Yang, Chien-Kun Wang, Li-Chun Chiang*, and Po-Jui Chiang* (2023, Mar). A Biogeography-Based Optimization with a Greedy Randomized Adaptive Search Procedure and the 2-Opt Algorithm for the Traveling Salesman Problem. Sustainability, 15(6), 5111.
- Yi-Ru Huang, Yao-Ching Chiu, Kuan-Chieh Huang, Shao-Ying Ting, Po-Jui Chiang, Chih-Ming Lai, Chun-Ping Jen, Snow H. Tseng, Hsiang-Chen Wang (2018, May). Light extraction efficiency enhancement of flip-chip blue lightemitting diodes by anodic aluminum oxide. Beilstein J. Nanotechnol. , 9, 1602–1612.
- Po-Jui Chiang* and Tien-Tsorng Shih (2017, Aug). Analysis of Leakage Loss in Silicon Photonics with Finite Gain Compensation. IEEE Photonics Journal, Vol.9, No. 4.

1. 發展高精準度之光波導或介質波導結構模態解法,採用數值技術包括有限差分法、譜方法等。其中在譜方法中已發表數篇的國際期刊了,而在時域有限差分法研發採用了電腦平行技術。
2. 研究各種纖維光學與積體光學元件並建立理論分析模型,相關元件包括融燒式光纖元件、研磨式光纖元件、方向性耦合元件、極化相關型元件、光柵元件等。
3. 發展適用於光電應用之先進時域電磁分析與模擬方法,包括在光子晶體、奈米光電、與電漿子學之應用。
4. 研究光子晶體及相關元件,著重於導波光學與光子線路之應用,例如光子晶體光纖與光子晶體波導元件等。
1. 發展類頻法分析針形電漿電磁聲子波導管(國科會計畫)2007.11.1~2008.10.31
2. 發展類頻法在頻域上分析金屬/介質光波導與光柵結構2008.8.1~2010.8.31
3. 年南分院前瞻產學研共同研發計畫-脈衝雷射監控電路 2011.3.1~2011.12.31
4. 輝創汽車電子-車用電容感應自動開啟尾門系統 2015.9.1~2016.2.29
5. 豐年邑實業-車用電子藍芽應用與開發 2016.6.1~2017.5.31
6. 品臻科技-遠距電容是感測器檢測與技術服務 2016.6.1~2016.7.31
7. 晨興儀器有限公司-醫用電子Wi-Fi應用與開發 2016.12.1~2018.1.1
8. 國科會產學計畫-光學感測PM2.5成分分析污染來源追蹤之雲端系統 2018.7.1~2019.7.29
- P. J. Chiang*, C. L. Tseng, and C. K. Wang, “High-efficiency scattering field modeling in metallic components: a machine-learning-inspired approach,” J. Opt. Soc. Am. A 41, 1019-1026, 2024. (SCI).
- P. J. Chiang*, “Inverse Optical Waveguide Analysis: Leveraging Intensity Distributions to Infer Waveguide Structures,” IEEE Photonics Technology Letters, vol. 36, no. 10, pp. 673-676, 15 May 15, 2024, doi: 10.1109/LPT.2024.3387086. (SCI).
## Someone pasted calculated crystals at this point
********
Entry 1:
# La3IrI3

A relaxed La3IrI3 crystal (PBE-GGA, Materials Project).

Cell lengths 11.002, 11.002, 11.002 Å; angles 109.47, 109.47, 109.47 degrees
Atoms (fractional coordinates):
La (0.456, 0.478, 0.228)
La (0.750, 0.228, 0.272)
La (0.750, 0.022, 0.478)
La (0.228, 0.456, 0.478)
La (0.272, 0.750, 0.228)
La (0.044, 0.272, 0.022)
La (0.022, 0.044, 0.272)
La (0.478, 0.750, 0.022)
La (0.478, 0.228, 0.456)
La (0.022, 0.478, 0.750)
La (0.272, 0.022, 0.044)
La (0.228, 0.272, 0.750)
Ir (0.250, 0.250, 0.250)
Ir (0.500, 0.000, 0.250)
Ir (0.000, 0.250, 0.500)
Ir (0.250, 0.500, 0.000)
I (0.250, 0.760, 0.740)
I (0.519, 0.510, 0.760)
I (0.981, 0.740, 0.990)
I (0.740, 0.250, 0.760)
I (0.990, 0.981, 0.740)
I (0.250, 0.990, 0.510)
I (0.760, 0.519, 0.510)
I (0.510, 0.250, 0.990)
I (0.760, 0.740, 0.250)
I (0.740, 0.990, 0.981)
I (0.990, 0.510, 0.250)
I (0.510, 0.760, 0.519)

## Properties
* ΔE_f: -1.4327 eV/atom

=====

Entry 2:
# Co3H

A relaxed Co3H crystal (PBE-GGA, Materials Project).

Cell lengths 2.545, 2.545, 12.286 Å; angles 90.00, 90.00, 120.00 degrees
Atoms (fractional coordinates):
Co (0.333, 0.667, 0.089)
Co (0.667, 0.333, 0.589)
Co (0.333, 0.667, 0.411)
Co (0.667, 0.333, 0.911)
Co (0.333, 0.667, 0.750)
Co (0.667, 0.333, 0.250)
H (0.000, 0.000, 0.000)
H (0.000, 0.000, 0.500)

## Properties
* total magnetization: 1.228 μB/atom
* ΔE_f: -0.0412 eV/atom

=====

Entry 3:
# HfZrW4

A relaxed HfZrW4 crystal (PBE-GGA, Materials Project).

Cell lengths 5.411, 5.411, 5.411 Å; angles 60.00, 60.00, 60.00 degrees
Atoms (fractional coordinates):
Hf (0.250, 0.250, 0.250)
Zr (0.000, 0.000, 0.000)
W (0.625, 0.625, 0.125)
W (0.625, 0.125, 0.625)
W (0.125, 0.625, 0.625)
W (0.625, 0.625, 0.625)

## Properties
* ΔE_f: -0.1589 eV/atom

=====

Entry 4:
# Cr2CdN2

A relaxed Cr2CdN2 crystal (PBE-GGA, Materials Project).

Cell lengths 7.532, 7.532, 7.532 Å; angles 90.00, 90.00, 90.00 degrees
Atoms (fractional coordinates):
Cr (0.207, 0.207, 0.793)
Cr (0.207, 0.793, 0.207)
Cr (0.793, 0.207, 0.207)
Cr (0.793, 0.793, 0.793)
Cd (0.000, 0.000, 0.000)
Cd (0.500, 0.500, 0.500)
N (0.330, 0.330, 0.670)
N (0.330, 0.670, 0.330)
N (0.670, 0.330, 0.330)
N (0.670, 0.670, 0.670)

## Properties
* total magnetization: 1.107 μB/atom
* ΔE_f: 1.4747 eV/atom

=====

Entry 5:
# Ti7S12

A relaxed Ti7S12 crystal (PBE-GGA, Materials Project).

Cell lengths 6.862, 8.998, 11.837 Å; angles 99.39, 89.99, 101.07 degrees
Atoms (fractional coordinates):
Ti (0.167, 0.670, 0.497)
Ti (0.179, 0.721, 0.765)
Ti (0.247, 0.003, 0.998)
Ti (0.500, 0.000, 0.500)
Ti (0.579, 0.333, 0.998)
Ti (0.330, 0.321, 0.501)
Ti (0.833, 0.330, 0.503)
Ti (0.920, 0.663, 0.999)
Ti (0.421, 0.667, 0.002)
Ti (0.670, 0.679, 0.499)
Ti (0.753, 0.997, 0.002)
Ti (0.000, 0.000, 0.500)
Ti (0.080, 0.337, 0.001)
Ti (0.821, 0.279, 0.235)
S (0.201, 0.803, 0.117)
S (0.229, 0.915, 0.627)
S (0.531, 0.136, 0.126)
S (0.271, 0.083, 0.378)
S (0.562, 0.249, 0.622)
S (0.300, 0.196, 0.878)
S (0.369, 0.472, 0.122)
S (0.869, 0.480, 0.129)
********
- P. J. Chiang*, “Adaptive penalty method with an Adam optimizer for enhanced convergence in optical waveguide mode solvers,” Opt. Express 31, 28065-28077, 2023. (SCI).
- C. L. Tseng, C. K. Wang, C. H. Lai, C. H. Tsai, and P. J. Chiang* , “Excitation of Surface-Plasmon-Mode in Bulk Semiconductor Lasers,” Applied Optics, Vol. 62, No. 14, May, 2023. (SCI).
- C. H. Tsai, Y. D. Lin, C. H. Yang, C. K. Wang, L. C. Chiang*, and P. J. Chiang*, “A Biogeography-Based Optimization with a Greedy Randomized Adaptive Search Procedure and the 2-Opt Algorithm for the Traveling Salesman Problem,” Sustainability, Vol. 15, No. 6, Mar, 2023. (SCI).
- Y. R. Huang , Y. C. Chiu, K. C. Huang , S. Y. Ting , P. J. Chiang , C. M. Lai , C. P. Jen , S. H. Tseng, and H. C. Wang, “Light extraction efficiency enhancement of flip-chip blue light-emitting diodes by anodic aluminum oxide,” Beilstein J. Nanotechnol. vol. 9, May 2018.
- P. J. Chiang* and T. T. Shih, ” Analysis of Leakage Loss in Silicon Photonics with Finite Gain Compensation,” IEEE Photonics Journal, vol.9, 4 Aug. 2017. (SCI).
- C. L. Tseng, Y. W. Lin, P. J. Chiang*, Y. T. Cheng, J. J. Jou, and C. K. Liu “Wavelength-adjustable all optical wavelength conversion using a tunable fiber laser and an electro-absorption modulator,” Optica Applicata, vol. 46, issue 4, 2016. (SCI)
- Y. W. Lin, C. L. Tseng and P.J. Chiang*, “The Effect of Blended Learning on Student Achievement and Attitudes in a Seventh Grade Mathematics Course at a Public Secondary School in Taiwan,” Eurasia Journal of Mathematics, Science and Technology Education, March (2016).(SSCI) (rank: 76/224)
- P. J. Chiang and S. W. Chang, “Efficient photonic-crystal mode solver: eigenvalue rather than generalized eigenvalue approach,” IEEE J. Sel. Top. Quantum Electron., accepted (2016). (SCI) (Optics rank: 4/70)
- H. Yang, M. W. Tsai , J. W. Lin, P. J. Chiang, ” ZnO:Ga nanowires with low turn-on field for field-emission lighting,” Appl. Surf. Sci. 356, (2015). (SCI)
- H. Yang, M. W. Tsai, J. W. Lin, P.J. Chiang, “ZnO:Ga nanowires with low turn-on field for field-emission lighting,” Ceramics International 41, (2015). (SCI)
- P. J. Chiang and S. W. Chang, “Design of metal-dielectric grating lasers only supporting surface-wave-like modes,” Opt. Express, 22, 27845 (2014). (SCI)(Optics rank: 3/70, Impact factor: 3.278)
- P. J. Chiang and S. W. Chang, “Frequency-domain formulation of photonic crystals using sources and gain,” Optics Express, Vol. 21, No. 2, Jan. 2013. (SCI)(Optics rank: 3/70, Impact factor: 3.278)
- P. J. Chiang, Y. C. Chiang, N. H. Sun, and S. X. Hong, “Analysis of optical waveguides with ultra-thin metal film based on the multidomain pseudospectral frequency-domain method,” Optics Express, Vol. 19, No. 5, Feb. 2011. (SCI)(Optics rank: 3/70, Impact factor: 3.278)
- P. J. Chiang and H. C. Chang, “A high-accuracy pseudospectral full-vectorial leaky optical waveguide mode solver with carefully implemented UPML absorbing boundary conditions,” Optics Express, Vol. 19, No. 2, Jan. 2011. (SCI)(Optics rank: 3/70, Impact factor: 3.278)
- P. J. Chiang and Y. C. Chiang, “Pseudospectral Frequency-Domain Formulae Based on Modified Perfectly Matched Layers for Calculating both Guided and Leaky Modes,” IEEE Photonic Technology Letters, Vol. 22, No. 12, Jun. 2010. (SCI)
- W. Chen, C. M. Chiu, C. H. Lai, J. L. Kuo, P. J. Chiang, H. C. Chang, and C. K. Sun, “Sub-Wavelength-Plastic Fiber Based Terahertz Coupler,” IEEE/OSA Journal of Lightwave Technology, Vol. 27, No. 11, 1489–1494, Jun. 2009.(SCI)
- P. J. Chiang, C. L. Wu, C. H. Teng, C. S. Yang, and H. C. Chang, “Full-Vectorial Optical Waveguide Mode Solvers Using Multidomain Pseudospectral Frequency-Domain (PSFD) Formulations,” IEEE Journal of Quantum Electronics, vol. 44, no. 1, pp. 56–66, Jan. 2008. (SCI)
- P. J. Chiang, C. P. Yu, and H. C. Chang, “Analysis of Two-Dimensional Photonic Crystals Using a Multidomain Pseudospectral Method,” Physical Review E, vol. 75, no. 3, pp. 026703-1–026703-14, 2007. (SCI)
- P. J. Chiang, C. P. Yu, and H. C. Chang, “Robust Calculation of Chromatic dispersion Coefficients of Optical Fibers from Numerically Determined Effective Indices Using Chebyshev-Lagrange Interpolation Polynomials,” IEEE/OSA Journal of Lightwave Technology, vol. 24, no. 11, pp. 4411–4416, Nov. 2006. (SCI)
- H. C. Chang, P. J. Chiang, C. S. Yang, C. L. Wu, and C. H. Teng, “Full-Vectorial Optical Waveguide Eigenmode Solvers Based on Multidomain Pseudospectral Method,” International Journal of Microwave and Optical Technology, vol. 1, no. 2, pp. 628–632, Aug. 2006.
- Bo-Ya Pan and Po-Jui Chiang, ”Applying Transformer Models and Custom Attention Mechanisms to Enhance Super-Resolution,” Taipei, ID:100255-001, (OPTIC 2024) Taiwan.
- Po-Jui Chiang, “Inverse identification and design approach for optical waveguide analysis,” Tainan, ID:0864, (OPTIC 2023) Taiwan
- Tien-Tsorng Shih , Jau-Ji Jou , Cheng-Hsiung Tsai , Yu-Feng Huang , Nai-Hsiang Sun , and Po-Jui Chiang,”Analysis of Waveguide Mode Excitation in Hybrid Semiconductor Lasers with Buried Oxide Thickness”, Tainan, Taiwan.
- Nai-Hsiang Sun, Li-Ti Kung, Hung-Liang Cheng, Po-Jui Chiang, “Ultra-Short Length of Couplers Padded with Gold Thin Films”, International Symposium on Next-Generation Electronics (ISNE 2015), pp.PT-20, Taipei, Taiwan.
- Po-jui Chiang, Nai-Hsiang Sun, “Surface Plasmon (SP) and Hybridity Surface Plasmoms (HSP) Modes in Waveguide Couplers”, IEEE ISNE 2014, pp.Y18-6, Taoyuan, Taiwan.
- Po-Jui Chiang, Fang-Chi Li, Nai-Hsiang Sun, Chia-Ming Hu, “Analysis of Surface Plasmon Phenomenon of Multi-pair Array of Silver Nanocylinders and Design”, Progress in Electromagnetics Research Symposium (PIERS), pp.206, Taipei, Taiwan.
- P. J. Chiang and S. W. Chang, “Frequency-domain formulation of photonic eriodic structures–viewpoints of sources and gain,” International conferenceof optics and photonics, Taipei Taiwan, Dec. 6- (2012).
- P. J. Chiang, Nai-Hsiang Sun, Chia-Ming Hu, “Improving the Pseudospectral Optical Waveguide Mode Solver Using the Penalty Skill”, Progress in Electromagnetics Research Symposium (PIERS), pp.1A1-5, Suzhou, China, 2011.08
- P. J. Chiang, Nai-Hsiang Sun, “Computing Leaky Mode Based on Pseudospectral Method”, Progress in Electromagnetics Research Symposium (PIERS), pp.3P3-2, Xi’an, China, 2010.03
- P. J. Chiang, N. H. Sun, H. C. Chang, “Accurate Analysis of Plasmonic Structures Using the Multidomain”, in OSA 2010 Integrated Photonics Research and Applications (IPRA ’10)’.
- P. J. Chiang, N. H. Sun, H. C. Chang, “The Effect of Choosing PML Reflection-Coefficient Value on Numerical Accuracy in the Pseudospectral Leaky Waveguide Mode Solver”, in OSA 2009 Integrated Photonics Research and Applications (IPRA ’09)’.
- P. J. Chiang, N. H. Sun, H. C. Chang, “Using the Penalty Method for Imposing Boundary Conditions in the Pseudospectral Optical Waveguide Mode Solver ”, in OSA 2008 Integrated Photonics Research and Applications (IPRA ’08)’.
- Y. C. Tsai, B. R. Jiang (P. J. Chiang), and H. C. Chang, “On the Convergence Characteristics of the Modal Analysis of Fused Fiber-Optic Couplers,” in Proceedings of the 5th Pacific Rim Conference on Lasers and Electro-Optics (CLEO/PR 2003), Vol. II, p. 599, Taipei, Taiwan, R.O.C., December 15–19, 2003.
- H. C. Chang and P. J. Chiang, “Calculation of Photonic Crystal Band Diagrams Using a Multidomain Pseudospectral Method,” in Proceedings of the 13th International Workshop on Optical Waveguide Theory and Numerical Modelling (OWTNM 2005), paper Sa2-6, Grenoble, France, April 8–9, 2005.
- P. J. Chiang, C. S. Yang, C. L. Wu, C. H. Teng, and H. C. Chang, “Application of Pseudospectral Methods to Optical Waveguide Mode Solvers,” in OSA 2005 Integrated Photonics Research and Applications (IPRA ’05) Technical Digest (CD-ROM), paper IMG4, San Diego, California, April 11–13, 2005.
- H. C. Chang, P. J. Chiang, C. S. Yang, C. L. Wu, and C. H. Teng, “Full-vectorial Optical Waveguide Eigenmode Solvers Based on Multidomain Pseudospectral Methods,” to be presented at the 10th International Symposium on Microwave and Optical Technology (ISMOT-2005), Fukuoka, Japan, August 22–25, 2005. (Invited paper)
- H. C. Chang and P. J. Chiang, “Pseudospectral Analysis of Photonic Crystal Structures,” presented at Workshop on Photonic Crystals and Nano-Photonics, p.11 in Abstract Book, National Taiwan University, Taipei, Taiwan, R.O.C., November 4–5, 2005. (Invited paper)
- P. J. Chiang and H. C. Chang, “Modal Analysis of Fused-Fiber-Coupler Structures Using Pseudospectral Methods,” Taiwan ’05 (OPT ’05) (CD-ROM), paper B-SA-IV12-1, Tainan, Taiwan, R.O.C., December 9–10, 2005.
- H. C. Chang and P. J. Chiang, “A Multidomain Pseudospectral Method for the Analysis of Unconventional Optical Waveguide Structures,” presented at Symposium on Optical Communication Technologies, pp.29–30 in Symposium Digest, National Sun Yat Sen University, Kaohsiung, Taiwan, R.O.C., February 23–24, 2006. (Invited paper)
- P. J. Chiang and H. C. Chang, “Analysis of Leaky Optical Waveguides Using Pseudospectral Methods,” in OSA 2006 Integrated Photonics Research and Applications (IPRA ’06) Technical Digest (CD ROM), paper ITuA3 , Uncasville, Connecticut, April 24–26, 2006.
- P. J. Chiang, C. P. Yu, and H. C. Chang, “Robust Numerical Calculation of Chromatic Dispersion Coefficients of Optical Fibers Using Chebyshev-Lagrange Interpolation Polynomials,” in The 11th OptoElectronics and Communications Conference (OECC 2006) Technical Digest (CD ROM), paper 3P-012, Kaohsiung, Taiwan, R.O.C., July 3–7, 2006.
- H. C. Chang and P. J. Chiang, “Full-Vectorial Pseudospectral Frequency-Domain Method for Optical Waveguide Analysis,” in 2006 Progress in Electromagnetics Research Symposium (PIERS 2006-TOKYO) Abstracts, p. 235, Tokyo, Japan, August 2–5, 2006.
- H. C. Chang, C. P. Yu, P. J. Chiang, and S. M. Hsu, “Development and Applications of High-Accuracy Optical Waveguide Eigenmode Solvers,” presented at International Workshop on Photonics and Display Technologies, National Taiwan University of Science and Technology, Taipei, Taiwan, R.O.C., September 22–23, 2006. (Invited paper)
李典勳, 王意文, 陳夢群, 江柏叡, “用[aI]灌溉” ,萬潤2018創新創意競賽榮獲佳作
Po-Jui Chiang and Cheng-Hsiung Tsai, “尾門自動感應控制系統”,台南2016車用電子創新發明競賽榮獲季軍
Shih-Chiang Lin, Nai-Hsiang Sun, Po-Jui Chiang(發明人), I-Shou University,(專利權人), “Quasi-phase Matched Optical Waveguide For Preventing Back Conversion” ,發明, US 8,358,460,B2, 國外, U.S.A.,專利取得日期 2013.01.22,有效日期 2010.04.13~2020.04.13
林士強;孫迺翔;江柏叡(發明人), 義守大學,(專利權人), “具有能量補償之波導裝置” ,發明, I407232, 國內, 中華民國,專利取得日期 2013.09.01,有效日期 2011.06.16~2031.06.16